Modifications & Customs
Inserted here: data records =
=====
ORCA calculation (ωB97M-V/def2-TZVPD) on a 13-piece molecular cluster, C23H77O28P5 overall at a distorted geometry.

The geometry in XYZ format:
```
133
Properties=species:S:1:pos:R:3:lowdin_charge:R:1
P -10.82852 20.95869 -14.10043 0.587
P -2.33521 17.63700 -7.46198 0.502
P -5.29720 18.89527 -17.04336 0.445
P -7.12528 25.37564 -11.29378 0.514
P -4.04862 24.72224 -7.29374 0.506
O -6.76656 19.22053 -17.73272 -0.224
O -2.30866 18.73168 -8.68902 -0.229
O -10.03759 20.69731 -8.83309 -0.133
O -5.53718 25.52814 -10.91861 -0.248
O -4.40471 20.15198 -17.52238 -0.234
O -3.56467 16.07909 -12.60196 -0.130
O -0.81281 17.69352 -6.90160 -0.209
O -7.85210 26.66265 -10.56452 -0.217
O -9.47706 20.44133 -14.38691 -0.234
O -4.38910 23.56718 -8.37979 -0.207
O -4.67416 17.62770 -17.48378 -0.242
O -7.71184 24.05053 -10.90040 -0.251
O -10.97588 22.61432 -14.08289 -0.221
O -3.73875 21.23383 -12.15187 -0.143
O -9.09006 17.75307 -14.56081 -0.153
O -10.42943 16.45019 -10.55232 -0.121
O -5.68275 15.38710 -10.97259 -0.149
O -6.06618 19.91308 -11.33174 -0.142
O -3.80537 23.95440 -5.85882 -0.209
O -5.49996 25.43218 -7.00464 -0.240
O -3.41523 17.90668 -6.47745 -0.254
O -5.40653 19.02701 -15.44013 -0.232
O -12.02570 20.55866 -15.16477 -0.223
O -2.93457 25.60746 -7.72638 -0.239
O -8.21293 19.98911 -6.97535 -0.104
O -7.18578 25.78565 -12.84437 -0.219
O -2.40306 16.15450 -8.17861 -0.222
O -11.45184 20.41372 -12.64656 -0.244
C -7.22747 20.68151 -11.07480 -0.139
C -3.99769 17.21808 -13.33459 -0.140
C 0.28880 17.36393 -7.75299 -0.106
C -7.88308 26.75629 -9.21303 -0.162
C -7.95268 17.21315 -13.89675 -0.134
C -2.99421 20.17148 -17.03273 -0.056
C -10.86705 17.78929 -10.61818 -0.150
C -11.84047 19.52893 -16.13905 -0.089
C -6.77841 16.22145 -10.53120 -0.092
C -7.83789 18.28967 -17.53481 -0.088
C -7.32666 19.15189 -7.65197 -0.153
C -3.73078 22.62848 -11.87365 -0.110
C -12.70781 20.88120 -12.24876 -0.126
C -5.45365 22.68912 -8.17530 -0.118
C -3.09520 24.62395 -4.88131 -0.158
C -3.41443 19.18748 -9.46066 -0.092
C -3.59935 15.59876 -8.65334 -0.125
C -4.87401 26.76719 -10.85143 -0.094
C -10.08046 22.06646 -9.15035 -0.147
C -10.34085 23.43162 -13.10635 -0.103
C -5.50763 26.73338 -6.41609 -0.110
C -5.84743 20.22692 -14.84601 -0.098
C -7.06223 24.70492 -13.83808 -0.063
H -4.28753 15.79966 -12.03541 0.006
H -2.13186 24.17253 -4.64404 0.094
H -9.71605 22.93113 -12.36660 0.066
H -11.97016 19.87141 -17.16568 0.090
H -2.32124 20.56610 -17.79396 0.088
H -5.93010 21.07029 -15.53158 0.090
H -5.31604 20.39860 -11.68269 0.013
H -9.65341 24.11896 -13.59939 0.068
H -9.78838 16.36555 -9.84275 0.057
H -4.72982 27.05509 -5.72355 0.084
H -4.32554 26.83397 -9.91186 0.084
H -9.09671 22.53537 -9.17148 0.057
H -5.50608 27.64401 -10.99200 0.092
H -2.71047 22.95998 -11.68092 0.089
H -8.18099 17.70571 -18.38885 0.092
H -4.34695 18.68919 -9.19572 0.079
H -10.86681 19.03951 -16.16210 0.060
H -7.67336 17.85271 -13.05947 0.070
H -10.78393 18.30856 -11.57294 0.059
H -7.97314 19.90337 -6.04974 0.105
=====
This category is used for entries related to modification of custom works.
Custom: Sistar | Bora
When you think girl K-pop group the first is usually Girls' Generation, but there are some other talented groups as well and Sistar is one of them. The four girls are quite talented in their own right and have a more mature, sexy and seductive feel compared to many other groups and they back that up with some of the strongest vocals around. To round out the package their best dancer and rapper is Bora. Continue Reading
Custom: The Dark Knight Trilogy | Lucius Fox
(These calculated molecules were left in the entry by mistake)
Record 1
83
Properties=species:S:1:pos:R:3:forces:R:3:lowdin_charge:R:1 method="wB97M-V/def2-TZVPD" gap_ev=8.4 e_homo_ev=-7.92 smiles=Cc1ccccc1C[PH3][C@@H](Cl)[C@@H](C)Cl.C1CCOC1.C1CCOC1.C1CCOC1.C1CCOC1 lumo_energy_ev=0.513
Cl -3.143250 -3.573387 -0.393393 0.9 0.4 0.6 0.47
Cl 0.087352 -3.914585 2.416693 -0.2 0.4 -1.1 0.52
P -2.205775 -0.961554 0.814131 -0.7 1.0 -0.2 0.76
O 1.130823 0.035526 5.017747 0.2 -0.2 0.0 -0.16
O 5.126932 -1.966749 -1.821789 -0.1 -0.2 -0.2 -0.14
O 0.610039 -0.129542 -4.719831 -0.2 0.1 -0.2 -0.15
O -0.972408 3.193450 -0.930083 0.2 0.2 -0.1 -0.16
C -0.521140 -0.005534 -6.797873 -0.1 -0.3 -0.3 -0.18
C 4.316291 -3.602099 -3.331392 -0.2 -0.4 0.1 -0.18
C -3.216555 1.395322 3.496160 -3.9 0.0 -0.4 -0.17
C -0.470558 -3.381630 0.721401 -0.1 -0.1 -1.0 -0.72
C 0.763642 -1.233820 5.576353 -0.2 0.2 0.2 -0.21
C -4.342902 1.570719 4.560519 -1.0 -0.7 -3.8 -0.03
C -5.852313 1.506281 4.138336 1.9 -0.3 -2.4 -0.08
C -0.038625 3.323229 -2.009644 0.1 -0.4 0.1 -0.21
C 3.115510 -1.148252 5.540065 0.3 0.1 0.3 -0.18
C 3.985729 -1.424759 -2.501001 -0.1 0.1 0.3 -0.20
C 2.550312 0.056856 4.814388 -0.1 0.2 -0.3 -0.20
C -2.526212 0.941676 0.911692 -1.9 1.5 0.7 -0.36
C -1.674369 1.416795 3.910013 -0.5 -0.2 0.0 -0.09
C 0.501250 4.738509 -1.956054 -0.1 0.3 -0.4 -0.18
C -0.832408 4.325923 -0.060894 -0.4 0.0 0.0 -0.20
C 3.791786 -2.249183 -3.757880 -0.1 0.2 -0.4 -0.18
C -3.688162 1.160068 2.023740 -0.9 0.6 1.6 -0.21
C -6.313667 1.278075 2.666265 4.4 -0.1 0.7 -0.08
C 0.840800 -0.044333 -6.132954 0.3 0.1 0.1 -0.21
C -1.363984 0.683313 -5.748232 -0.2 0.4 0.1 -0.18
C 5.470950 -3.220887 -2.426008 0.3 0.1 0.1 -0.21
C 1.974257 -2.136243 5.444699 -0.1 -0.4 -0.3 -0.18
C 0.567751 -2.311117 0.133311 1.0 -0.7 0.0 -0.18
C 0.437805 5.042408 -0.476029 0.3 0.0 0.4 -0.18
C -5.199855 1.091279 1.604325 1.5 0.5 3.4 -0.05
C -0.775646 0.135784 -4.463174 0.0 -0.2 0.3 -0.20
C -1.988175 -2.865860 0.854973 0.7 -1.1 1.3 -0.90
H -1.094518 -0.744522 1.717373 -0.4 -0.6 -0.3 0.02
H 2.755445 -2.266909 -4.099960 0.1 0.1 0.1 0.11
H 1.529151 -2.898780 -0.126338 -1.5 0.9 0.4 0.08
H 0.758401 2.588141 -1.852239 0.0 0.0 -0.1 0.12
H -2.938045 1.372372 -0.072788 0.7 -0.7 1.3 0.08
H -5.381386 0.889052 0.488582 0.0 0.4 2.0 0.09
H -1.208013 1.766119 -5.799138 -0.1 -0.1 0.0 0.11
H -4.055124 1.716416 5.650733 -0.6 -0.2 -1.6 0.09
H 1.443271 -0.895191 -6.459265 0.0 0.0 0.1 0.11
H -2.009166 -0.918591 -0.622744 0.1 -0.1 0.7 0.02
H -0.510556 0.508865 -7.760343 0.0 0.0 0.1 0.11
H -1.250627 -0.809540 -4.179317 -0.1 0.0 0.0 0.12
H -3.576454 -1.143851 1.259743 0.6 -0.2 -0.2 0.03
H -2.433320 0.487906 -5.844709 0.1 0.0 0.0 0.12
H -0.866807 0.835616 -3.629122 0.1 -0.1 0.0 0.10
H 1.402947 0.875982 -6.325578 0.0 0.0 -0.1 0.12
H -0.537237 3.099431 -2.955676 -0.1 0.0 0.1 0.11
H -2.385264 -3.211308 1.885428 0.6 0.4 -1.8 0.06
H 2.006284 -2.919190 6.204388 0.0 0.1 0.0 0.12
H -1.532810 1.335574 5.052928 -0.4 0.0 -1.9 0.09
H -0.803633 3.989981 0.978554 -0.1 -0.1 -0.1 0.11
H -6.682755 1.636012 4.910889 1.5 -0.2 -1.1 0.08
Behind every great here is a great... tech provider. At least in the case of Batman. Bruce Wayne was very selective in his allies and Lucius Fox was essentially his left-hand man with Alfred being the right. Fox provided Batman with all the tech and weaponry in his vigilante crusade to rid Gotham of crime and corruption. Although he was essential in the comics, the character was never exposed on the big screen until Christopher Nolan's Dark Knight Trilogy. Continue Reading
Mod: Hasbro | Star Wars Black 3.75″ | Darth Vader (EP III)
Hasbro recently released the Star Wars Black Series Darth Vader from Episode 3. It's a really nice figure and probably the best Darth Vader figure yet, but there is still room for improvement. Until that time comes where we get the perfect figure, I've made some minor adjustments to the figure to meet my needs and wants. Thankfully, it didn't require too much work and didn't change how the figure operates so it's a win-win for me. Continue Reading
Custom: Girls’ Generation | Yuri [유리]
Every girl group has a sexy icon member and for Girl's Generation, that would be Yuri. She's a great dancer, quite athletic and strong, but she's also quite funny and has a great personality for variety TV as she doesn't shy away from saying things. She has confidence and charm that makes her fun to watch. I just wish I could find a good head sculpt that matches her, but sadly the one I'm using will have to do for now. Continue Reading
== Next to the piece, the page also holds records of molecules ==
- - -
The following is a quantum chemistry calculation of a molecular structure, C27H18IrN4O2, from OMol25.

CARTESIAN COORDINATES (ANGSTROEM)
Ir 0.529 -0.796 0.042
O 2.640 -1.583 3.447
O 0.080 -3.000 3.448
N -1.164 -1.928 0.298
N -0.514 0.893 -0.366
N 1.029 -1.697 1.768
N 2.379 0.056 0.303
C -0.689 1.312 2.030
C -0.279 0.436 -3.975
C 1.133 -1.658 -2.788
C -0.791 1.227 -1.629
C -1.593 2.346 -1.930
C -2.103 3.091 -0.915
C -2.328 3.513 1.508
C 0.040 -2.464 2.376
C -0.998 1.637 0.691
C -1.820 2.757 0.429
C -2.028 3.176 2.797
C 3.043 0.851 -0.540
C 0.507 -0.727 -1.974
C -2.193 -2.065 -0.542
C -1.199 2.070 3.051
C -3.359 -3.424 1.036
C 1.056 -1.548 -4.172
C 0.352 -0.508 -4.768
C -3.309 -2.807 -0.204
C -1.191 -2.555 1.494
C 2.205 -1.266 2.375
C 2.938 -0.274 1.488
C 4.842 1.074 1.014
C 4.163 0.227 1.877
C -2.278 -3.304 1.895
C -0.196 0.321 -2.589
C 4.279 1.379 -0.215
H 1.550 -2.284 -4.794
H 0.300 -0.434 -5.846
H -4.226 -4.002 1.326
H -1.794 2.585 -2.963
H -0.052 0.470 2.255
H -0.823 1.248 -4.439
H -2.098 -1.560 -1.494
H 2.553 1.057 -1.481
H -2.241 -3.783 2.863
H -2.421 3.756 3.620
H 5.803 1.483 1.293
H -0.953 1.810 4.073
H 1.688 -2.481 -2.349
H -2.731 3.950 -1.120
H -2.958 4.365 1.289
H -4.123 -2.894 -0.909
H 4.558 -0.072 2.837
H 4.785 2.021 -0.922

Summary:
Charge: +1
Strongest force on any atom, Eh/bohr: 0.0094
Lowest unoccupied orbital energy, hartree: -0.1303
Calculated total energy, eV: -41182.5826
Orbital gap, eV: 7.858
- - -
Custom: Hawaii Five-O | Kono Kalakaua
The new season of Hawaii Five-O is fast approaching so it seemed like a good idea to reveal my custom figure of Kono Kalakaua. I'm a big fan of Grace Park. I really liked her in Battlestar Galactica and some of the other independent movies she's been in. When she was casted for Hawaii Five-O I was excited to be able to see her on TV again and more so since Five-O is in my backyard of Hawaii. Continue Reading